Activity
Now search the listing further below for the word "diffractogram" and type out each line that has it.

Listing
=====
No. 1
For YErCSe, a cell relaxed with GGA-PBE gives the calculated powder diffractogram in this record (a wavelength of 1.5418 Å).

Structural model:
```
YErCSe
1.0
3.7428 0.0000 0.0000
-1.8714 3.2413 0.0000
0.0000 0.0000 13.2027
Y Er C Se
2 2 2 2
Cartesian
0.0000 2.1609 5.2644
1.8714 1.0804 7.9383
0.0000 2.1609 1.3039
1.8714 1.0804 11.8988
0.0000 0.0000 0.0000
0.0000 0.0000 6.6014
0.0000 2.1609 9.9375
1.8714 1.0804 3.2652
```

Top 10 peaks for 2θ = 10–90°, most intense first:
Position (°2θ)  I (rel.)
34.36  100
48.66  28
27.52  28
60.92  19
81.57  16
65.47  15
50.11  11
56.48  11
41.02  10
28.35  10

***

No. 2
For YErCSe, a cell relaxed with GGA-PBE gives the calculated powder diffractogram in this record (a wavelength of 1.5418 Å).

Structural model:
```
YErCSe
1.0
3.7437 0.0000 0.0000
-1.8719 3.2422 0.0000
0.0000 0.0000 13.2083
Y Er C Se
2 2 2 2
Cartesian
0.0000 2.1614 0.0000
1.8719 1.0807 6.6042
0.0000 2.1614 3.9616
1.8719 1.0807 10.5657
0.0000 0.0000 5.2617
0.0000 0.0000 11.8658
0.0000 2.1614 8.6035
1.8719 1.0807 1.9994
```

Top 10 peaks for 2θ = 10–90°, most intense first:
Position (°2θ)  I (rel.)
34.35  100
48.64  28
27.51  28
60.90  19
81.54  16
65.45  15
28.34  13
56.46  11
50.09  10
41.00  10

***

No. 3
For Er15Si9C, a cell relaxed with GGA-PBE gives the calculated powder diffractogram in this record (a wavelength of 1.5418 Å).

Structural model:
```
Er15Si9C
1.0
14.4526 0.0000 0.0000
-7.2263 12.5163 0.0000
0.0000 0.0000 6.3390
Er Si C
30 18 2
Cartesian
-2.2523 4.2555 0.0000
-4.6671 8.4380 0.0000
0.0000 2.0101 1.6475
-5.4855 11.5113 1.6475
1.7408 1.0051 4.8170
-1.7158 7.3536 1.7362
0.0000 6.3740 4.5564
-1.7063 9.3293 4.5564
2.2523 4.2555 0.0000
-2.4148 12.3391 0.0000
4.8115 0.1772 3.1695
2.5593 4.0783 3.1695
1.7159 7.3536 1.7362
0.0000 10.3255 1.7362
1.7063 9.3293 4.5564
5.5201 3.1870 1.3870
7.2263 2.1908 4.9057
5.5105 5.1628 4.9057
4.6671 8.4380 0.0000
2.4148 12.3391 0.0000
9.6411 0.1772 3.1695
4.9740 8.2608 3.1695
8.9326 3.1870 1.3870
7.2263 6.1423 1.3870
8.9422 5.1628 4.9057
5.4855 11.5113 1.6475
12.7118 1.0051 4.8170
7.2263 10.5062 4.8170
11.8934 4.0783 3.1695
9.4786 8.2608 3.1695
-2.8907 6.6753 4.6748
0.0000 3.3124 4.6219
-4.3577 10.8601 4.6219
0.0000 4.9815 1.7897
-2.9122 10.0256 1.7897
2.8686 1.6562 1.4524
4.3141 2.4907 4.9592
2.8907 6.6753 4.6748
0.0000 11.6821 4.6748
7.2263 0.8342 1.5053
4.3356 5.8411 1.5053
2.9122 10.0256 1.7897
4.3577 10.8601 4.6219
10.1385 2.4907 4.9592
7.2263 7.5349 4.9592
11.5840 1.6562 1.4524
7.2263 9.2039 1.4524
10.1170 5.8411 1.5053
0.0000 8.3442 3.1486
7.2263 4.1721 6.3181
```

Top 10 peaks for 2θ = 10–90°, most intense first:
Position (°2θ)  I (rel.)
35.80  100
35.57  85
30.81  53
32.79  52
25.56  46
24.64  32
37.33  31
58.84  29
52.52  26
54.94  24

***

No. 4
For Tb3ErSn2C2, a cell relaxed with GGA-PBE gives the calculated powder diffractogram in this record (a wavelength of 1.5418 Å).

Structural model:
```
Tb3ErSn2C2
1.0
3.6258 0.0000 0.0000
-1.8129 3.1401 0.0000
0.0000 0.0000 15.9363
Tb Er Sn C
3 1 2 2
Cartesian
0.0000 0.0000 0.0000
0.0000 0.0000 5.2840
0.0000 2.0934 7.9961
0.0000 2.0934 13.2633
0.0000 0.0000 10.6531
0.0000 2.0934 2.6438
1.8129 1.0467 6.6418
1.8129 1.0467 14.5778
```

Top 10 peaks for 2θ = 10–90°, most intense first:
Position (°2θ)  I (rel.)
33.14  100
28.42  22
50.33  22
61.97  22
33.75  20
59.98  18
61.60  17
44.69  16
83.45  15
82.03  8

=====

Calculated X-ray diffraction stick pattern
Compound: KSrEuWO6
Radiation: copper Kα
Structure: a DFT-relaxed cell (PBE+U, Alexandria)
No peak broadening, texture or thermal motion is included.

Main lines, most intense first (10° ≤ 2θ ≤ 80°):
(hkl)	2θ (°)	Rel. int.
2 2 0	29.8	100.0
4 2 2	52.9	40.1
2 0 0	20.9	36.4
4 0 0	42.6	30.9
4 4 0	61.9	19.0
6 2 0	70.1	18.2

Cell and atoms:
a = 8.485 Å, b = 8.485 Å, c = 8.485 Å
α = 90.00°, β = 90.00°, γ = 90.00°
Space group F-43m (No. 216)
One atom of each set of equivalent atoms:
K: 0.000 0.000 0.000 [4 per cell]
Sr: 0.000 0.000 0.500 [4 per cell]
=====

Here it is
For YErCSe, a cell relaxed with GGA-PBE gives the calculated powder diffractogram in this record (a wavelength of 1.5418 Å).
For YErCSe, a cell relaxed with GGA-PBE gives the calculated powder diffractogram in this record (a wavelength of 1.5418 Å).
For Er15Si9C, a cell relaxed with GGA-PBE gives the calculated powder diffractogram in this record (a wavelength of 1.5418 Å).
For Tb3ErSn2C2, a cell relaxed with GGA-PBE gives the calculated powder diffractogram in this record (a wavelength of 1.5418 Å).